Reading Group Guide
Discussion Questions
Christian Nation

1. How do Greg, Emilie, and Sanjay each react as the country takes small incremental steps toward theocracy? Why are their reactions different? If you were under the same circumstances, do you think you would react more like Greg, Emilie, or Sanjay?
**Next to the text, the page also holds calculated crystals:**
-- begin --
A relaxed structure of ZnCoBr3, computed with PBE.

space-group type = Pm-3m
energy relative to the lowest polymorph listed for this composition = 0.000 eV/atom
E_form (uncorrected) = 0.061 eV/atom

abc: 4.970 4.970 4.970
angles: 90.00 90.00 90.00
Each line ends with the local moment (μB).
Element x y z (fractional)
1 Zn 0.500 0.500 0.500  -0.05
2 Co 0.000 0.000 0.000  1.58
3 Br 0.000 0.500 0.000  0.03
4 Br 0.000 0.000 0.500  0.03
5 Br 0.500 0.000 0.000  0.03

----------

(1)
TaTi2Tl (GGA-PBE, optimized geometry); E = -0.27087 hartree per atom; theoretical density = 10932 kg/m3; ΔE to the lowest computed polymorph = 51 kJ/mol of formula units; magnetization = 0.00 μB/f.u.
1.0
6.636 0.000 0.000
0.000 6.636 0.000
0.000 0.000 6.636
Ta Ti Tl
4 8 4
direct
0.000 0.000 0.000 Ta
0.000 0.500 0.500 Ta
0.500 0.000 0.500 Ta
0.500 0.500 0.000 Ta
0.250 0.250 0.250 Ti
0.250 0.250 0.750 Ti
0.250 0.750 0.250 Ti
0.250 0.750 0.750 Ti
0.750 0.250 0.250 Ti
0.750 0.250 0.750 Ti
0.750 0.750 0.250 Ti
0.750 0.750 0.750 Ti
0.000 0.000 0.500 Tl
0.000 0.500 0.000 Tl
0.500 0.000 0.000 Tl
0.500 0.500 0.500 Tl


(2)
MnTlSi2 (GGA-PBE, optimized geometry); E = -0.19441 hartree per atom; theoretical density = 7563 kg/m3; E_form (uncorrected) = 1.22 eV/f.u.; ΔE to the lowest computed polymorph = 67 kJ/mol of formula units; magnetization = 0.00 μB/f.u.
1.0
3.100 0.000 0.000
-1.550 2.685 0.000
0.000 0.000 24.965
Mn Tl Si
3 3 6
direct
0.000 0.000 0.000 Mn
0.333 0.667 0.667 Mn
0.667 0.333 0.333 Mn
0.000 0.000 0.500 Tl
0.333 0.667 0.167 Tl
0.667 0.333 0.833 Tl
0.000 0.000 0.272 Si
0.000 0.000 0.728 Si
0.333 0.667 0.394 Si
0.333 0.667 0.939 Si
0.667 0.333 0.061 Si
0.667 0.333 0.606 Si


(3)
BTeSe2N (GGA-PBE, optimized geometry); E = -0.17458 hartree per atom; theoretical density = 4371 kg/m3; E_form (uncorrected) = 1.36 eV/f.u.; ΔE to the lowest computed polymorph = 0 kJ/mol of formula units; magnetization = 0.43 μB/f.u.
1.0
6.674 0.000 0.000
0.000 6.674 0.000
0.000 0.000 2.647
B Te Se N
1 1 2 1
direct
0.000 0.000 0.000 B
0.500 0.500 0.500 Te
0.000 0.500 0.000 Se
0.500 0.000 0.000 Se
0.000 0.000 0.500 N

----------

1.
First-principles (GGA-PBE) data for a relaxed KCrIn crystal, as listed in Alexandria via LeMat-Bulk.

**Size of the total moment**: 3.9 μB per formula unit
**Density**: 3.769 g cm⁻³
**D(E_F)**: 1.60 states/eV/cell

Cell and atoms, written as POSCAR:
```
KCrIn
1.0
-1.5976 2.2625 6.2741
1.5976 -2.2625 6.2741
1.5976 2.2625 -6.2741
K Cr In
1 1 1
Cartesian
0.0000 0.0000 0.0000
0.0000 0.0000 9.1859
0.0000 0.0000 3.4895
```

***

2.
First-principles (GGA-PBE) data for a relaxed KCrIn crystal, as listed in Alexandria via LeMat-Bulk.

**Size of the total moment**: 4.6 μB per formula unit
**Density**: 4.018 g cm⁻³
**D(E_F)**: 1.69 states/eV/cell

Cell and atoms, written as POSCAR:
```
KCrIn
1.0
5.4664 0.0000 0.0000
-2.7332 4.7341 0.0000
0.0000 0.0000 3.2887
K Cr In
1 1 1
Cartesian
0.0000 0.0000 0.0000
2.7332 1.5780 1.6444
0.0000 3.1561 1.6444
```

***
-- stop --
2. Has your view of John McCain’s selection of Sarah Palin as his vice p residential candidate changed as a result of reading this book? If McCain/Palin had won and McCain had then died, what do you think would have happened to the country under a Palin p residency?
3. In the Christian Nation, authoritarian control is possible largely because web-linked cameras are everywhere and all reading, writing, and other communication are digital --- making privacy or uncensored expression virtually impossible. The technology for this exists now. Does this worry you? Do you think it is a real threat?
4. Greg seems obsessed by the similarities between what happened in Germany in the 1930 s and in America in the period leading up to the Holy War --- mainly economic depression and a shock to national confidence. Do you find the similarities credible? Has something about the world changed since the twentieth century that now makes a populist embrace of fascist-type totalitarianism impossible? Or could it happen again?
5. What do you make of the relationship between Greg and Sanjay?
6. The author says that the public events occurring before election night 2008 are all historically accurate --- such as legislation introduced in Congress seeking to end separation of church and state and allowing churches to use tax- exempt contributions for political activity, the channeling of billions of federal dollars to evangelical organizations, foreign policy decisions being influenced by evangelical beliefs regarding the “end times,” a federal ban on vital stem cell research for religious reasons, and U.S. troops being subjected to proselytization by evangelical chaplains. How many of these things were you aware of? If you didn’t know about these events, why do you think that is?
7. Do you believe that Greg’s memory of what happened is reliable? What parts of his story do you think might be suspect?
8. The long-standing agenda of the Christian right is finally realized with the adoption of “The Blessing.” When you read the text of “The Blessing ”(pp. 180– 85), how much of it do you agree with or disagree with? What about your friends or family who are conservative Christians --- how many of these things do they think should be laws binding on all of us, whatever our religion? Have you ever discussed it with them?
9. Greg writes the memoir in a cabin overlooking a lake. He seems attracted by both water and stone, seeing ripples and reflections in the water. How does this setting affect him, and how does it affect your experience of the story?
10. At the end, Greg is looking out at the Hudson River, and Adam tells him that the Hudson is tidal, a river that flows both ways. Adam says that twice a day a hidden tide comes from the ocean and causes the r iver to flow upstream. What do you think he means ? When Greg says he now understands, what do you think he means?
11. What do you think will happen next? Does the Free Minds movement have a chance? Does Greg have what it takes to be a leader?